Introduction Letter

- - -
76
Properties=species:S:1:pos:R:3:mulliken_spin:R:1 method="wB97M-V/def2-TZVPD" homo_ev="-3.233 / -8.612" multiplicity=2 s_squared=0.751
Ag 0.145 -0.465 -0.238 1.62
S 3.642 0.001 1.710 0.06
S -3.302 -0.439 1.527 -0.08
S -0.177 -3.713 1.490 0.15
S -0.774 3.406 -0.345 0.05
S -2.237 0.315 -3.465 -0.22
O 3.989 0.271 3.146 -0.05
O -0.389 -2.410 0.908 -0.05
O -2.134 3.452 -0.846 -0.01
O -1.762 0.179 -2.093 -0.24
O -0.979 -4.892 1.175 -0.02
O 2.204 -0.089 1.345 -0.42
O -0.291 2.041 -0.248 -0.03
O -2.903 -0.816 -4.101 0.00
O -1.964 -0.040 1.227 -0.04
O -4.029 0.228 2.604 0.00
C -2.661 2.341 -5.267 0.00
C -3.556 -2.312 1.679 0.01
C -4.445 -0.292 0.079 0.01
C -0.470 4.409 1.150 0.00
C -1.139 1.878 -5.370 0.00
C 5.901 -1.247 0.976 -0.02
C 1.107 -3.573 3.992 0.01
C -4.159 -2.868 0.434 0.01
C 1.038 4.694 1.259 -0.01
C -0.351 -3.657 3.358 0.02
C -5.091 -1.699 -0.062 0.00
C 1.407 5.250 -0.174 -0.01
C 2.051 -4.553 3.050 0.00
C 1.624 -4.281 1.520 -0.08
C 5.991 0.142 0.414 -0.01
C -0.824 0.541 -4.591 0.04
C -3.103 1.929 -3.877 0.05
C 4.647 0.979 0.544 0.00
C 4.469 -1.622 1.220 0.06
C 0.426 4.487 -1.255 -0.01
H -3.879 0.098 -0.767 0.01
H -5.377 -1.822 -1.107 0.00
H 4.855 1.968 0.953 -0.01
H 1.262 6.315 -0.352 0.00
H 1.329 -2.507 3.929 0.00
H 6.409 -2.001 0.376 0.00
H -0.243 5.185 -1.757 0.01
H 1.956 -5.580 3.403 0.00
H 6.485 -1.198 1.895 0.00
H 3.113 -4.329 3.150 0.00
H 4.368 -2.375 2.002 0.01
H -6.055 -1.783 0.440 0.00
H -3.428 -3.034 -0.358 0.00
H -2.786 2.603 -3.082 0.00
H 3.922 -1.952 0.337 0.03
H -3.429 2.006 -5.965 0.00
H -2.656 3.422 -5.406 0.00
H -0.940 5.351 0.867 0.00
H -4.856 -3.663 0.699 0.00
H 0.087 0.758 -4.032 0.03
H -4.188 1.858 -3.790 -0.01
H 6.695 0.702 1.028 0.00
H -1.109 -2.911 3.598 -0.01
H 1.367 5.427 1.995 0.00
H 0.923 3.953 -2.065 0.01
H -5.144 0.412 0.532 0.00
H -0.919 3.888 1.995 0.00
H 6.418 -0.001 -0.578 0.00
H 4.112 1.066 -0.401 0.02
H 1.744 -5.158 0.884 0.01
H 2.288 -3.491 1.168 0.07
H -0.826 1.776 -6.409 0.00
H -0.551 -4.720 3.488 0.00
H -0.680 -0.313 -5.254 0.00
H 1.206 -3.896 5.028 0.00
H -2.673 -2.832 2.050 0.01
H 1.607 3.780 1.429 0.02
H 2.478 5.103 -0.314 0.00
H -4.315 -2.310 2.461 0.00
H -0.473 2.629 -4.945 0.00

***

79
Properties=species:S:1:pos:R:3:lowdin_charge:R:1 method="wB97M-V/def2-TZVPD" homo_ev=-4.678 charge=-1
Br 2.132 5.495 -3.001 0.51
S -3.285 0.811 -0.698 0.84
P 3.090 -0.840 -3.707 0.93
O -0.608 2.306 10.211 -0.01
O 0.653 1.064 -0.953 -0.09
O 3.044 -4.680 -5.443 -0.02
O 1.443 1.193 -3.112 -0.11
O -3.962 1.966 5.132 -0.01
O 3.381 2.675 -1.114 0.01
O 0.912 3.641 -4.832 -0.10
O -5.527 0.390 -2.481 -0.12
O 4.814 0.594 -0.935 -0.10
N -1.594 3.646 8.601 -0.21
N -6.848 -1.364 -1.382 -0.04
N -5.746 -1.079 -0.564 -0.04
N -5.454 0.821 3.782 -0.20
N 4.482 -6.136 -4.359 -0.20
C -1.704 4.960 8.004 -0.07
C 2.490 0.404 -2.388 -0.40
C 4.675 -7.098 -3.294 -0.07
C 1.890 -2.331 -3.903 -0.32
C -4.236 1.392 4.086 -0.31
C -6.747 -0.456 -2.610 -0.04
C 3.275 -5.501 -4.564 -0.31
C -5.699 0.158 2.518 -0.08
C -0.749 3.390 9.660 -0.34
- - -
The piece goes on:

130 Laconia Avenue                                                                                                  Staten Island, New York 10305

September 4th, 2018

_Inserted here: quantum chemistry results_
____________
No. 1
A cluster of 10 separate species, C32H90N6O10 in total at a distorted geometry, computed with ωB97M-V/def2-TZVPD.

Positions of all 138 atoms, in Å:
C (-5.9659, 1.5713, -4.6274)
O (-4.6538, 1.4834, -4.0891)
C (-3.9350, 0.3329, -4.6003)
C (-2.4842, 0.1815, -3.8851)
C (-1.7275, -1.0780, -4.3796)
N (-2.6177, -0.0380, -2.4275)
H (-6.6055, 0.8721, -4.0889)
H (-5.9771, 1.4411, -5.7095)
H (-6.4368, 2.5321, -4.4193)
H (-4.4610, -0.5883, -4.3497)
H (-3.7986, 0.4353, -5.6769)
H (-1.9197, 1.0828, -4.1240)
H (-2.3128, -1.9958, -4.3245)
H (-0.8011, -1.2210, -3.8233)
H (-1.4446, -0.7689, -5.3859)
H (-3.2122, 0.7278, -2.1442)
H (-3.1094, -0.9005, -2.2421)
C (4.8683, 0.6260, -1.1400)
O (5.3961, -0.3483, -0.2425)
C (4.5479, -1.4942, -0.1827)
C (4.8842, -2.4173, 0.9468)
C (6.3944, -2.8064, 0.8527)
N (4.1684, -3.6643, 0.7052)
H (4.0148, 1.1849, -0.7564)
H (4.6743, 0.3246, -2.1693)
H (5.6036, 1.3612, -1.4668)
H (3.4933, -1.2321, -0.0986)
H (4.6778, -1.9721, -1.1538)
H (4.5277, -2.0267, 1.9000)
H (6.7410, -3.4313, 1.6758)
H (7.0416, -1.9306, 0.8066)
H (6.6052, -3.4138, -0.0274)
H (3.7169, -3.9174, 1.5726)
H (4.8357, -4.4111, 0.5746)
C (1.4170, 7.2496, -4.1185)
O (2.0405, 6.8667, -2.8873)
C (1.8797, 5.5086, -2.5755)
C (2.8858, 5.0613, -1.5481)
C (3.0353, 3.5588, -1.5056)
N (2.4502, 5.6585, -0.2979)
H (0.3907, 6.8878, -4.1828)
H (1.9191, 6.9262, -5.0303)
H (1.3214, 8.3122, -4.3414)
H (0.8653, 5.3795, -2.1979)
H (2.0427, 4.8443, -3.4242)
H (3.8734, 5.4470, -1.8008)
H (3.5439, 3.0936, -2.3500)
H (2.0788, 3.1138, -1.2316)
H (3.6501, 3.3616, -0.6275)
H (1.5912, 5.2130, -0.0086)
H (3.1007, 5.2046, 0.3273)
C (-3.0991, 1.4873, 2.8707)
O (-3.9931, 1.7843, 1.8426)
C (-4.3762, 0.5947, 1.0257)
C (-5.3220, 0.8575, -0.1583)
C (-6.0246, -0.3965, -0.7224)
N (-4.5719, 1.5106, -1.2059)
H (-3.2387, 0.8754, 3.7619)
H (-2.5511, 2.3425, 3.2662)
H (-2.2615, 0.9171, 2.4690)
H (-3.5556, -0.0220, 0.6589)
H (-4.9792, -0.0507, 1.6644)
H (-6.0698, 1.5581, 0.2132)
H (-6.6364, -0.8241, 0.0718)
H (-5.2994, -1.1856, -0.9211)
H (-6.4729, -0.2222, -1.7006)
H (-4.4103, 2.4447, -0.8575)
H (-4.9432, 1.5093, -2.1452)
C (-1.3384, -5.9121, -2.1612)
O (-0.8906, -4.7284, -1.4856)
C (0.4125, -4.2150, -1.8599)
C (1.5324, -5.3152, -1.6077)
C (1.6040, -5.9304, -0.1746)
N (2.8140, -4.6887, -1.6223)
H (-0.7050, -6.7976, -2.2143)
H (-1.3510, -5.5373, -3.1846)
H (-2.3531, -6.0677, -1.7947)
H (0.3994, -3.8313, -2.8800)
H (0.5475, -3.2984, -1.2856)
H (1.3524, -6.1660, -2.2648)
H (0.7773, -6.6102, 0.0317)
H (1.6403, -5.2270, 0.6573)
H (2.3990, -6.6754, -0.1426)
H (3.5116, -5.4159, -1.5528)
H (2.8984, -4.0668, -0.8310)
C (1.6911, 0.6934, 6.9288)
O (2.3744, 1.6574, 6.1158)
C (2.6002, 1.2130, 4.7735)
C (2.8976, 2.3919, 3.9015)
C (3.1344, 1.9985, 2.4184)
N (3.8900, 3.3395, 4.4395)
H (0.7707, 0.5078, 6.3751)
H (1.3530, 1.1529, 7.8575)
H (2.2389, -0.2380, 7.0718)
H (3.3796, 0.4511, 4.7709)
H (1.6365, 0.7426, 4.5783)
H (2.0907, 3.1158, 3.7876)
H (3.8596, 1.2013, 2.2550)
H (3.3052, 2.8736, 1.7914)
____________

Ms. Susan Delamare


City College of New York

160 Covent Avenue

_These quantum chemistry results were left in the entry by mistake_
~~~
1.
{
  "formula": "C45H55BrN4O4RuSe",
  "method": "ωB97M-V with the def2-TZVPD basis set",
  "spin_multiplicity": 6,
  "lumo_ev": [-2.7, -3.9],
  "s2": 8.8039,
  "orbital_gap_ev": [6.7, 6.8],
  "total_charge": 1,
  "de_lowest_kcal_mol": 80.4,
  "symbols": ["Ru", "C", "C", "C", "C", "C", "C", "C", "Se", "C", "C", "C", "C", "C", "C", "O", "C", "C", "C", "C", "C", "C", "C", "C", "C", "O", "C", "C", "C", "C", "C", "C", "H", "H", "H", "H", "H", "H", "H", "H", "H", "H", "H", "H", "H", "H", "H", "H", "H", "H", "H", "H", "H", "H", "H", "H", "H", "H", "H", "H", "H", "H", "H", "H", "H", "H", "H", "H", "H", "H", "H", "H", "C", "O", "C", "C", "C", "Br", "C", "C", "C", "O", "C", "N", "C", "C", "C", "C", "C", "C", "N", "H", "H", "H", "H", "H", "H", "H", "H", "H", "H", "H", "N", "C", "C", "N", "C", "H", "H", "H", "H"],
~~~

New York, New York, 10031


Dear Ms. Delamare:

My name is Kareem Baalbaki and I’m a student at City College of New York. I was born and raised in Staten Island, lived my whole life since 9/9/99 (my birth date) in the same house.  My family originates from Lebanon, so as a child jokes would always arise when I told people where I’m from, I would say “I’m Lebanese” and 90% of the time they would reply “You’re lesbian” or when I tell them my name is Kareem they would always reply “cream? like cream cheese”, but my name became a great introduction when I met new people, “my name is Kareem like cream cheese”. My child hood went well even though my parents are very strict. My dad is a hard worker so of course that’s what he wants for his kids. He used to work for the MTA and he would take me to different bridges and buildings he designed and I took an interest.


I am now attending CCNY to receive a degree in Civil Engineering. Civil Engineering is broken into three categories Transportation Engineers, Environmental Engineers, and Structural Engineers. My focus will be structural engineering, I’ve been fascinated by buildings and how they work since being introduced to them by my father, so how better to understand how they work then to learn about the structure of them?

There are other reasons for why I’ve chosen structural over other Engineering majors. There are a variety of engineers that deal with buildings, but my father is a Civil Engineer and although he used to work for the MTA he now has his own Engineering company. I’ve been working with him for the past 3 years and within these 3 years I was taught different kinds of engineering like mechanical and electrical and even architecture, it’s not an engineering type but it has a lot to do with buildings. The only type of engineering I could not be taught by my coworkers and bosses is civil because to be able to grasp a proper understanding of structural engineering you need to understand the fundamentals that are taught in college. Once I graduate with my civil engineering degree and receive my Professional license my father will retire, and I will take over his company.

Civil Engineering is one of the first engineering’s to ever be created. Anyone who put a roof over their head has used a type of civil engineering although the name might have not been invented at the time the concept was there. It’s been with us for so long and will be here for years to come. The way technology has been advancing, there have been creations of various applications that can do a lot of the calculations and test that are required to approve the structure of a building. I work with two structural engineers, one of them is old school and does a lot of hand drawings, the other is more up to date with computers and these applications. The old school engineer is more experienced and is very well at what he does, this has me believe there’s just some things applications can’t do and that’s why civil engineers will never be replaced by computers.

There are a numerous amount of things I can accomplish with my civil engineering degree, but my main goal is to take over my father business so he can retire and expand it. I have done some architectural designs for some buildings but being able to completely design a building by myself will be amazing. This dream of mine is close and I know if I keep working hard towards my goal it will become my reality.


Kareem Baalbaki